Brief.
Retype only the lines underneath with the word "NaUTl2Te4" in them.
Entries.
No. 1
A geometry-optimized LaSmMgGa structure. Source: the Alexandria database, functional PBE.

Lattice parameters (Å, degrees): 7.585 7.585 7.585 90.00 90.00 90.00
Space group F-43m (No. 216)
Unique sites:
La 0.000 0.000 0.000 (multiplicity 4)
Sm 0.000 0.000 0.500 (multiplicity 4)
Mg 0.250 0.250 0.750 (multiplicity 4)
Ga 0.250 0.250 0.250 (multiplicity 4)

Values from the calculation:
E ... -3.901 eV/atom
ΔE_f ... -0.33 eV per atom
Density of states at the Fermi level ... 15.67 states/eV per cell
M_tot ... 0.000 μB per cell

---

No. 2
A geometry-optimized BeRhBr2 structure. Source: the Alexandria database, functional PBE.

Lattice parameters (Å, degrees): 5.883 3.313 7.656 90.00 107.43 90.00
Space group C2/m (No. 12)
Unique sites:
Be 0.000 0.000 0.000 (multiplicity 2)
Rh 0.000 0.000 0.500 (multiplicity 2)
Br 0.095 0.500 0.803 (multiplicity 4)

Values from the calculation:
Relative energy among the computed polymorphs ... 682 meV/atom
E ... -3.328 eV/atom
Uncorrected formation energy ... 0.28 eV per atom
Density of states at the Fermi level ... 5.06 states/eV per cell
M_tot ... 2.015 μB per cell

---

No. 3
A geometry-optimized YSbRuW2 structure. Source: the Alexandria database, functional PBE.

Lattice parameters (Å, degrees): 4.734 4.734 5.305 90.00 90.00 90.00
Space group P4/mmm (No. 123)
Unique sites:
Y 0.000 0.000 0.000 (multiplicity 1)
Sb 0.500 0.500 0.000 (multiplicity 1)
Ru 0.000 0.000 0.500 (multiplicity 1)
W 0.000 0.500 0.500 (multiplicity 2)

Values from the calculation:
E ... -8.124 eV/atom
Uncorrected formation energy ... 1.03 eV per atom
Density of states at the Fermi level ... 6.12 states/eV per cell
M_tot ... 0.001 μB per cell

---

No. 4
A geometry-optimized DyEr5Sn6 structure. Source: the Alexandria database, functional PBE.

Lattice parameters (Å, degrees): 5.668 13.942 8.464 90.00 102.14 90.00
Space group C2/m (No. 12)
Unique sites:
Dy 0.000 0.000 0.000 (multiplicity 2)
Er 0.000 0.000 0.500 (multiplicity 2)
Er 0.000 0.332 0.000 (multiplicity 4)
Er 0.000 0.334 0.500 (multiplicity 4)
Sn 0.001 0.167 0.749 (multiplicity 8)
Sn 0.005 0.500 0.249 (multiplicity 4)

Values from the calculation:
E ... -4.888 eV/atom
ΔE_f ... -0.60 eV per atom
Density of states at the Fermi level ... 11.26 states/eV per cell
M_tot ... 0.000 μB per cell

---

No. 5
A geometry-optimized Tm2TiCuO6 structure. Source: the Alexandria database, functional PBE.

Lattice parameters (Å, degrees): 3.5717 3.5717 11.2885 90.00 90.00 120.00
Space group P-6m2 (No. 187)
Unique sites:
Tm 0.0000 0.0000 0.2269 (multiplicity 2)
Ti 0.6667 0.3333 0.5000 (multiplicity 1)
Cu 0.3333 0.6667 0.0000 (multiplicity 1)
O 0.0000 0.0000 0.0000 (multiplicity 1)
O 0.0000 0.0000 0.5000 (multiplicity 1)
O 0.3333 0.6667 0.1683 (multiplicity 2)
O 0.6667 0.3333 0.3333 (multiplicity 2)

Values from the calculation:
E ... -7.806 eV/atom
Uncorrected formation energy ... -2.74 eV per atom
Density of states at the Fermi level ... 4.13 states/eV per cell
M_tot ... 0.962 μB per cell

---

No. 6
A geometry-optimized NaUTl2Te4 structure. Source: the Alexandria database, functional PBE.

Lattice parameters (Å, degrees): 7.810 4.496 8.412 90.00 107.13 90.00
Space group P2/m (No. 10)
Unique sites:
Na 0.000 0.000 0.000 (multiplicity 1)
U 0.500 0.500 0.000 (multiplicity 1)
Tl 0.000 0.500 0.500 (multiplicity 1)
Tl 0.500 0.000 0.500 (multiplicity 1)
Te 0.267 0.500 0.216 (multiplicity 2)
Te 0.281 0.000 0.788 (multiplicity 2)

Values from the calculation:
E ... -4.295 eV/atom
Uncorrected formation energy ... -0.56 eV per atom
Density of states at the Fermi level ... 5.90 states/eV per cell
M_tot ... 1.019 μB per cell

---

No. 7
A geometry-optimized Rb2TlZn3Sn4 structure. Source: the Alexandria database, functional PBE.

Lattice parameters (Å, degrees): 4.895 4.895 11.976 90.00 90.00 90.00
Space group P-4m2 (No. 115)
Unique sites:
Rb 0.000 0.500 0.249 (multiplicity 2)
Tl 0.000 0.000 0.500 (multiplicity 1)
Zn 0.000 0.500 0.871 (multiplicity 2)
Zn 0.500 0.500 0.500 (multiplicity 1)
Result.
A geometry-optimized NaUTl2Te4 structure. Source: the Alexandria database, functional PBE.